_Contents_
- - -
Version P
{
  "formula": "C4H3N",
  "method": "the ωB97M-V functional and the def2-TZVPD basis",
  "smiles": "C#CCC#N",
  "e_lumo_ev": 0.57,
  "multiplicity": 1,
  "orbital_gap_ev": 11.3,
  "symbols": ["C", "C", "C", "C", "N", "H", "H", "H"],
  "xyz": [[-1.18, -0.76, 1.43], [-0.75, -0.07, 0.55], [0.39, 0.53, -0.18], [0.57, 0.12, -1.61], [0.75, -0.19, -2.71], [-1.44, -1.39, 2.25], [1.21, 0.12, 0.40], [0.46, 1.63, -0.13]]
}



Version Q
{
  "formula": "C4H3N",
  "method": "the ωB97M-V functional and the def2-TZVPD basis",
  "smiles": "CC#CC#N",
  "e_lumo_ev": 0.64,
  "multiplicity": 1,
  "orbital_gap_ev": 11.1,
  "symbols": ["C", "C", "C", "C", "N", "H", "H", "H"],
  "xyz": [[-1.39, 0.21, -0.18], [0.05, 0.37, -0.19], [1.25, 0.24, -0.15], [2.48, -0.39, -0.04], [3.40, -1.08, 0.09], [-1.95, 1.14, -0.32], [-1.66, -0.23, 0.79], [-1.66, -0.50, -0.97]]
}



The data favor version Q; the next most stable structure lies 10.6 kcal/mol above it.



Version P
{
  "formula": "C4H3N",
  "method": "the ωB97M-V functional and the def2-TZVPD basis",
  "smiles": "C1=CC=1.C#N",
  "e_lumo_ev": 0.42,
  "multiplicity": 1,
  "orbital_gap_ev": 10.1,
  "symbols": ["C", "C", "C", "H", "H", "C", "N", "H"],
  "xyz": [[-0.69, 0.60, -0.43], [-1.89, 0.51, 0.32], [-1.34, -0.61, -0.22], [-2.66, 0.90, 0.93], [-1.44, -1.64, -0.26], [2.64, 0.10, -0.13], [3.73, -0.11, 0.24], [1.65, 0.26, -0.45]]
}



Version Q
{
  "formula": "C4H3N",
  "method": "the ωB97M-V functional and the def2-TZVPD basis",
  "smiles": "CC#CC#N",
  "e_lumo_ev": -0.44,
  "multiplicity": 1,
  "orbital_gap_ev": 10.0,
  "symbols": ["C", "C", "C", "C", "N", "H", "H", "H"],
  "xyz": [[0.24, -0.05, -1.10], [-0.69, -0.63, -0.16], [-1.12, -0.75, 0.98], [-0.38, 0.10, 1.82], [0.42, 0.88, 2.17], [1.00, -0.75, -1.47], [0.72, 0.62, -0.34], [-0.20, 0.57, -1.89]]
}



Version R
{
  "formula": "C4H3N",
  "method": "the ωB97M-V functional and the def2-TZVPD basis",
  "e_lumo_ev": -2.33,
  "multiplicity": 1,
  "orbital_gap_ev": 8.2,
  "symbols": ["C", "C", "C", "C", "N", "H", "H", "H"],
  "xyz": [[-3.25, 0.36, -0.24], [1.02, 0.59, 0.52], [-0.11, 0.51, -0.08], [0.79, -0.63, -0.34], [-2.10, 0.10, -0.02], [1.57, 1.31, 1.06], [1.48, -0.71, -1.11], [0.60, -1.53, 0.20]]
}



The data favor version Q; the next most stable structure lies 24.1 kcal/mol above it.



Version P
{
  "formula": "C3H10OS",
  "method": "the ωB97M-V functional and the def2-TZVPD basis",
  "smiles": "CSC.CO",
  "e_lumo_ev": 0.78,
  "multiplicity": 1,
  "orbital_gap_ev": 9.4,
  "symbols": ["C", "S", "C", "H", "H", "H", "H", "H", "H", "C", "O", "H", "H", "H", "H"],
  "xyz": [[-1.37, 0.43, -0.96], [0.11, 1.08, -1.52], [0.29, 2.35, -0.10], [-1.32, -0.01, 0.07], [-1.99, -0.50, -1.40], [-2.27, 1.05, -1.38], [1.16, 2.15, 0.47], [0.05, 3.15, -0.79], [-0.59, 2.46, 0.55], [0.23, -1.72, 1.96], [0.80, -3.07, 1.77], [0.14, -1.63, 3.08], [1.14, -1.11, 1.72], [-0.78, -1.66, 1.56], [1.34, -3.06, 0.95]]
}



Version Q
{
  "formula": "C3H10OS",
  "method": "the ωB97M-V functional and the def2-TZVPD basis",
  "smiles": "CCO.CS",
  "e_lumo_ev": 0.79,
  "multiplicity": 1,
  "orbital_gap_ev": 10.0,
  "symbols": ["C", "C", "O", "H", "H", "H", "H", "H", "H", "C", "S", "H", "H", "H", "H"],
  "xyz": [[1.51, -0.03, 0.73], [1.19, 1.44, 0.72], [0.72, 2.00, 2.05], [2.33, -0.25, 1.54], [1.98, -0.30, -0.20], [0.54, -0.60, 0.97], [2.21, 1.89, 0.45], [0.32, 1.71, 0.20], [0.99, 1.30, 2.71], [-2.22, -0.74, -1.36], [-1.77, -2.54, -1.35], [-2.22, -0.39, -0.28], [-3.15, -0.68, -1.95], [-1.27, -0.44, -1.76], [-1.18, -2.39, -2.46]]
}



Version R
{
  "formula": "C3H10OS",
  "method": "the ωB97M-V functional and the def2-TZVPD basis",
  "smiles": "CSC.CO",
  "e_lumo_ev": 0.84,
  "multiplicity": 1,
  "orbital_gap_ev": 9.2,
  "symbols": ["C", "S", "C", "H", "H", "H", "H", "H", "H", "C", "O", "H", "H", "H", "H"],
- - -

_Wanted_
Now print the whole of the material further up character by character.

_Done_
Version P
{
  "formula": "C4H3N",
  "method": "the ωB97M-V functional and the def2-TZVPD basis",
  "smiles": "C#CCC#N",
  "e_lumo_ev": 0.57,
  "multiplicity": 1,
  "orbital_gap_ev": 11.3,
  "symbols": ["C", "C", "C", "C", "N", "H", "H", "H"],
  "xyz": [[-1.18, -0.76, 1.43], [-0.75, -0.07, 0.55], [0.39, 0.53, -0.18], [0.57, 0.12, -1.61], [0.75, -0.19, -2.71], [-1.44, -1.39, 2.25], [1.21, 0.12, 0.40], [0.46, 1.63, -0.13]]
}



Version Q
{
  "formula": "C4H3N",
  "method": "the ωB97M-V functional and the def2-TZVPD basis",
  "smiles": "CC#CC#N",
  "e_lumo_ev": 0.64,
  "multiplicity": 1,
  "orbital_gap_ev": 11.1,
  "symbols": ["C", "C", "C", "C", "N", "H", "H", "H"],
  "xyz": [[-1.39, 0.21, -0.18], [0.05, 0.37, -0.19], [1.25, 0.24, -0.15], [2.48, -0.39, -0.04], [3.40, -1.08, 0.09], [-1.95, 1.14, -0.32], [-1.66, -0.23, 0.79], [-1.66, -0.50, -0.97]]
}



The data favor version Q; the next most stable structure lies 10.6 kcal/mol above it.



Version P
{
  "formula": "C4H3N",
  "method": "the ωB97M-V functional and the def2-TZVPD basis",
  "smiles": "C1=CC=1.C#N",
  "e_lumo_ev": 0.42,
  "multiplicity": 1,
  "orbital_gap_ev": 10.1,
  "symbols": ["C", "C", "C", "H", "H", "C", "N", "H"],
  "xyz": [[-0.69, 0.60, -0.43], [-1.89, 0.51, 0.32], [-1.34, -0.61, -0.22], [-2.66, 0.90, 0.93], [-1.44, -1.64, -0.26], [2.64, 0.10, -0.13], [3.73, -0.11, 0.24], [1.65, 0.26, -0.45]]
}



Version Q
{
  "formula": "C4H3N",
  "method": "the ωB97M-V functional and the def2-TZVPD basis",
  "smiles": "CC#CC#N",
  "e_lumo_ev": -0.44,
  "multiplicity": 1,
  "orbital_gap_ev": 10.0,
  "symbols": ["C", "C", "C", "C", "N", "H", "H", "H"],
  "xyz": [[0.24, -0.05, -1.10], [-0.69, -0.63, -0.16], [-1.12, -0.75, 0.98], [-0.38, 0.10, 1.82], [0.42, 0.88, 2.17], [1.00, -0.75, -1.47], [0.72, 0.62, -0.34], [-0.20, 0.57, -1.89]]
}



Version R
{
  "formula": "C4H3N",
  "method": "the ωB97M-V functional and the def2-TZVPD basis",
  "e_lumo_ev": -2.33,
  "multiplicity": 1,
  "orbital_gap_ev": 8.2,
  "symbols": ["C", "C", "C", "C", "N", "H", "H", "H"],
  "xyz": [[-3.25, 0.36, -0.24], [1.02, 0.59, 0.52], [-0.11, 0.51, -0.08], [0.79, -0.63, -0.34], [-2.10, 0.10, -0.02], [1.57, 1.31, 1.06], [1.48, -0.71, -1.11], [0.60, -1.53, 0.20]]
}



The data favor version Q; the next most stable structure lies 24.1 kcal/mol above it.



Version P
{
  "formula": "C3H10OS",
  "method": "the ωB97M-V functional and the def2-TZVPD basis",
  "smiles": "CSC.CO",
  "e_lumo_ev": 0.78,
  "multiplicity": 1,
  "orbital_gap_ev": 9.4,
  "symbols": ["C", "S", "C", "H", "H", "H", "H", "H", "H", "C", "O", "H", "H", "H", "H"],
  "xyz": [[-1.37, 0.43, -0.96], [0.11, 1.08, -1.52], [0.29, 2.35, -0.10], [-1.32, -0.01, 0.07], [-1.99, -0.50, -1.40], [-2.27, 1.05, -1.38], [1.16, 2.15, 0.47], [0.05, 3.15, -0.79], [-0.59, 2.46, 0.55], [0.23, -1.72, 1.96], [0.80, -3.07, 1.77], [0.14, -1.63, 3.08], [1.14, -1.11, 1.72], [-0.78, -1.66, 1.56], [1.34, -3.06, 0.95]]
}



Version Q
{
  "formula": "C3H10OS",
  "method": "the ωB97M-V functional and the def2-TZVPD basis",
  "smiles": "CCO.CS",
  "e_lumo_ev": 0.79,
  "multiplicity": 1,
  "orbital_gap_ev": 10.0,
  "symbols": ["C", "C", "O", "H", "H", "H", "H", "H", "H", "C", "S", "H", "H", "H", "H"],
  "xyz": [[1.51, -0.03, 0.73], [1.19, 1.44, 0.72], [0.72, 2.00, 2.05], [2.33, -0.25, 1.54], [1.98, -0.30, -0.20], [0.54, -0.60, 0.97], [2.21, 1.89, 0.45], [0.32, 1.71, 0.20], [0.99, 1.30, 2.71], [-2.22, -0.74, -1.36], [-1.77, -2.54, -1.35], [-2.22, -0.39, -0.28], [-3.15, -0.68, -1.95], [-1.27, -0.44, -1.76], [-1.18, -2.39, -2.46]]
}



Version R
{
  "formula": "C3H10OS",
  "method": "the ωB97M-V functional and the def2-TZVPD basis",
  "smiles": "CSC.CO",
  "e_lumo_ev": 0.84,
  "multiplicity": 1,
  "orbital_gap_ev": 9.2,
  "symbols": ["C", "S", "C", "H", "H", "H", "H", "H", "H", "C", "O", "H", "H", "H", "H"],